Story by Jon Bowermaster
Film by Chris Rahm & Devin Pickering
wo different pipelines, two different stories. One carries natural gas, the other crude oil. One goes under the Hudson River and skirts a troubled nuclear power plant, the other hoping to parallel the New York State Thruway’s ‘right-of-way,’ essentially butting up against resident’s backyards.
There are countless unknowns about the safety and future of both projects but one thing is certain…neither helps to provide New Yorkers with gas or oil.
As we’ve come to learn in our reporting of this series about risks to the Hudson River and Valley, both pipeline projects bring with them exorbitant risks and deliver absolutely no benefits.
Lengths of natural gas pipeline await burial beneath a neighborhood in Buchanan, NY.
Let’s take the Algonquin Incremental Market Project (AIM) first, located on the east side of the Hudson River, cutting through the heart of Westchester County. The AIM pipeline, owned by Texas-based Spectra Energy, is one of three connected construction projects linking a single series of pipelines running mostly underground from New York to Boston, carrying natural gas fracked from the Marcellus Shale in Pennsylvania. Each of the three segments has been approved by FERC – the Federal Energy Regulatory Commission – yet no agency has stepped back and taken an environmental assessment of the entire four-state project.

Crystal structures, as found in the file
........
# Na2Ta2NbSe6
Computed powder diffractogram, Cu Kα, 1.54184 Å. Input: a PBE-relaxed structure.
Neutral-atom scattering factors, no anomalous dispersion.

a b c (Å): 6.2909 6.2909 7.7520
angles (deg): 96.28 96.28 121.54
Atoms (fractional coordinates):
Na (0.1754, 0.8246, 0.0000)
Na (0.8246, 0.1754, 0.0000)
Ta (0.3678, 0.6322, 0.5000)
Ta (0.6322, 0.3678, 0.5000)
Nb (0.0000, 0.0000, 0.5000)
Se (0.0498, 0.3984, 0.7020)
Se (0.2579, 0.2579, 0.2599)
Se (0.3984, 0.0498, 0.7020)
Se (0.6016, 0.9502, 0.2980)
Se (0.7421, 0.7421, 0.7401)
Se (0.9502, 0.6016, 0.2980)

The 12 most intense peaks (2θ from 10° to 90°), sorted by position:
11.7°, d 7.555, I = 100; 18.6°, d 4.778, I = 9; 28.6°, d 3.123, I = 7; 29.5°, d 3.025, I = 8; 32.3°, d 2.774, I = 54; 33.8°, d 2.654, I = 30; 39.5°, d 2.280, I = 14; 42.5°, d 2.126, I = 12; 43.4°, d 2.083, I = 21; 48.2°, d 1.889, I = 7; 51.1°, d 1.786, I = 16; 53.7°, d 1.707, I = 8

----------

# LaZnFeSnO6
Computed XRD peak list, Cu Kα (weighted mean of Kα1 and Kα2). Input: a structure optimized by DFT (GGA+U).
Lines closer than 0.1° are merged.

Lattice parameters (Å, degrees): 5.643 5.643 5.643 60.00 60.00 60.00
Element x y z (fractional)
La1 0.000 0.000 0.000
Zn1 0.500 0.500 0.500
Fe1 0.750 0.750 0.750
Sn1 0.250 0.250 0.250
O1 0.503 0.503 0.997
O2 0.503 0.997 0.503
O3 0.503 0.997 0.997
O4 0.997 0.503 0.503
O5 0.997 0.503 0.997
O6 0.997 0.997 0.503

Principal peaks in the range 10° ≤ 2θ ≤ 90°, by angle:
Position (°2θ)  I/Imax
19.3  14
31.7  100
37.4  8
39.1  5
45.5  34
49.8  4
56.5  40
66.2  20
75.3  17
84.0  7

# Sr2AlGaNi2O7
Computed XRD peak list, Cu Kα (weighted mean of Kα1 and Kα2). Input: a structure optimized by DFT (GGA+U).
Lines closer than 0.1° are merged.

Lattice parameters (Å, degrees): 11.704 11.704 5.645 96.46 96.46 25.55
Element x y z (fractional)
Sr1 0.242 0.758 0.500
Sr2 0.447 0.952 0.494
Sr3 0.758 0.242 0.000
Sr4 0.952 0.447 0.994
Al1 0.102 0.598 0.247
Al2 0.598 0.102 0.747
Ga1 0.292 0.904 0.040
Ga2 0.904 0.292 0.540
Ni1 0.061 0.525 0.609
Ni2 0.139 0.675 0.882
Ni3 0.525 0.061 0.109
Ni4 0.675 0.139 0.382
O1 0.017 0.824 0.217
O2 0.183 0.374 0.275
O3 0.225 0.968 0.372
O4 0.314 0.443 0.570
O5 0.327 0.717 0.937
O6 0.374 0.183 0.775
O7 0.443 0.314 0.070
O8 0.467 0.886 0.035
O9 0.717 0.327 0.437
O10 0.756 0.884 0.421
O11 0.824 0.017 0.717
O12 0.884 0.756 0.921
O13 0.886 0.467 0.535
O14 0.968 0.225 0.872

Principal peaks in the range 10° ≤ 2θ ≤ 90°, by angle:
Position (°2θ)  I/Imax
29.4  68
31.9  100
32.0  18
34.7  42
39.7  28
41.4  19
47.9  25
53.8  20
54.9  20
60.4  16

# Li5Mn3Nb2O10
Computed XRD peak list, Cu Kα (weighted mean of Kα1 and Kα2). Input: a structure optimized by DFT (GGA+U).
Lines closer than 0.1° are merged.

Lattice parameters (Å, degrees): 5.355 8.125 10.637 72.02 79.90 71.77
Element x y z (fractional)
Li1 0.000 0.000 0.250
Li2 0.000 0.000 0.750
Li3 0.115 0.280 0.008
Li4 0.116 0.280 0.507
Li5 0.272 0.902 0.506
Li6 0.273 0.902 0.005
Li7 0.727 0.098 0.995
Li8 0.728 0.098 0.494
Li9 0.884 0.720 0.493
........

One thing to understand off the top is that AIM is not a new pipeline, but an expansion project. There is already a 26-inch-pipe buried underground running from New York to Boston crossing under the Hudson; this new construction, which has been going on for more than a year with the approval of FERC and is almost complete, is adding an additional 42-inch, high-pressure pipeline side-by-side to the older, smaller version. Why? The bigger the pipe, the more gas that can be shipped.
Like any natural gas pipeline this one runs the risk of leaking or exploding. What makes the AIM project exponentially risky is that it will run just one hundred feet from critical safety infrastructure at the Indian Point Nuclear Energy Center. If the pipe carrying violate gas were to explode near the nuclear plant it could cause a full scale meltdown reaching a radius of 50 miles and impacting the lives of more than 20 million New York, New Jersey and Connecticut residents.
How often do pipelines explode? More often than you think, thanks to the boom in fracked gas that currently needs to be transported cross country. In 2010, a natural gas pipeline blew up in a residential neighborhood next to Los Angeles International Airport, killing eight. According to an oversight group that monitors pipeline safety, Spectra and 14 pipeline operators that share some of the company’s safety program management plans have reported 31 major incidents, including large explosions and leaks between 2006 and 2014. In June 2015, a Spectra pipeline exploded underneath the Arkansas Riverreleasing 3.9 million cubic feet of gas. Despite the toxic spill, the company waited two days to inform the city’s mayor.
A sizable movement of advocates against the expanded pipeline have coalesced under the name Stop the Aim Pipeline Expansion.
The Indian Point Energy Center in Buchanan, NY, sits just thirty miles from Times Square. One of its three aging reactors has been offline since 1974; the two others are in need of updating. A timeline shows a long history of leaks, small spills and fires going back to its opening in 1962. Many, including Governor Andrew Cuomo, would like to see the plant shut down permanently, a decision that could be made later this year. Its owner, Entergy, wants existing licenses for the two reactors extended for another twenty years.

They, along with advocates for promoting clean energy sources over new pipelines, have been astonished by the ease of which the project was approved and advanced. FERC, as well as the Nuclear Regulatory Commission, both approved it based on what was clearly a scanty plan hatched on the back of a cocktail napkin. In Spectra’s primary testimony regarding the project’s safety it contended that in cases of emergency it would be able, from HQ in Texas, to shut off the flow of gas in the pipeline within three minutes. Even former Spectra inspectors cast high doubt on the feasibility of such a remote, long-distance shutdown. Both U.S. Senators from New York, Charles Schumer and Kirsten Gillibrand, as well as a list of Congresspersons and all of the leading environmental groups have questioned the wisdom and necessity of the project and attempted to bring it to the attention of federal regulators.
Only to be ignored.

## Data records that have nothing to do with the piece
1.
Simulated X-ray powder pattern
Compound: Ho3BiPb
Radiation: CuKα
Structure: a DFT-relaxed cell (PBE, Alexandria)

Atomic structure:
```
Ho3BiPb
1.0
8.6851 0.0000 0.0000
0.0000 4.1785 0.0000
-0.0843 0.0000 9.0900
Ho Bi Pb
6 2 2
direct
0.0056 0.2500 0.1477
0.3452 0.7500 0.1284
0.3671 0.7500 0.6165
0.6329 0.2500 0.3835
0.6548 0.2500 0.8716
0.9944 0.7500 0.8523
0.2787 0.2500 0.8697
0.7213 0.7500 0.1303
0.2696 0.2500 0.3782
0.7304 0.7500 0.6218
```

Main lines, sorted by position (10 to 90 degrees two-theta):
Position (°2θ)	Rel. int.
29.0	100
30.8	48
30.9	93
35.7	66
35.9	69
37.8	35
39.7	49
43.3	42

=====

2.
Simulated X-ray powder pattern
Compound: Li6Pm3Au20
Radiation: CuKα
Structure: a DFT-relaxed cell (PBE, Alexandria)

Atomic structure:
```
Li6Pm3Au20
1.0
0.0000 6.3997 6.3997
6.3997 0.0000 6.3997
6.3997 6.3997 0.0000
Li Pm Au
6 3 20
direct
0.2297 0.2297 0.7703
0.2297 0.7703 0.2297
0.2297 0.7703 0.7703
0.7703 0.2297 0.2297
0.7703 0.2297 0.7703
0.7703 0.7703 0.2297
0.2500 0.2500 0.2500
0.5000 0.5000 0.5000
0.7500 0.7500 0.7500
0.1158 0.1158 0.1158
0.1158 0.1158 0.6527
0.1158 0.6527 0.1158
0.1551 0.5000 0.5000
0.1551 0.5000 0.8449
0.1551 0.8449 0.5000
0.3473 0.8842 0.8842
0.5000 0.1551 0.5000
0.5000 0.1551 0.8449
0.5000 0.5000 0.1551
0.5000 0.5000 0.8449
0.5000 0.8449 0.1551
0.5000 0.8449 0.5000
0.6527 0.1158 0.1158
0.8449 0.1551 0.5000
0.8449 0.5000 0.1551
0.8449 0.5000 0.5000
0.8842 0.3473 0.8842
0.8842 0.8842 0.3473
0.8842 0.8842 0.8842
```

Main lines, sorted by position (10 to 90 degrees two-theta):
Position (°2θ)	Rel. int.
31.3	23
34.3	22
36.5	100
39.8	17
41.8	33
61.5	27
62.9	15
72.3	15

=====

3.
Simulated X-ray powder pattern
Compound: Li2Ag6Sb
Radiation: CuKα
Structure: a DFT-relaxed cell (PBE, Alexandria)

Atomic structure:
```
Li2Ag6Sb
1.0
4.1556 -2.8753 0.0000
4.1556 2.8753 0.0000
-1.9076 0.0000 7.2271
Li Ag Sb
2 6 1
direct
0.1726 0.1726 0.0832
0.8274 0.8274 0.9168
0.1970 0.7109 0.3005
0.2514 0.2514 0.5009
0.2891 0.8030 0.6995
0.7109 0.1970 0.3005
0.7486 0.7486 0.4991
0.8030 0.2891 0.6995
0.5000 0.5000 0.0000
```

Main lines, sorted by position (10 to 90 degrees two-theta):
Position (°2θ)	Rel. int.
12.2	93
22.1	32
28.0	51
37.5	36
38.3	68
38.5	49
38.7	100
40.1	95

=====

4.
Simulated X-ray powder pattern
Compound: Hg3GeAu3
Radiation: CuKα
Structure: a DFT-relaxed cell (PBE, Alexandria)

Atomic structure:
```
Hg3GeAu3
1.0
10.6757 0.0000 0.0000
0.0000 11.0669 0.0000
0.0000 0.0000 5.4494
Hg Ge Au
12 4 12
direct
0.1254 0.1687 0.0000
0.1277 0.9205 0.5000
0.1293 0.5431 0.0000
0.3707 0.0431 0.5000
0.3723 0.4205 0.0000
0.3746 0.6687 0.5000
0.6254 0.3313 0.5000
0.6277 0.5795 0.0000
0.6293 0.9569 0.5000
0.8707 0.4569 0.0000
0.8723 0.0795 0.5000
0.8746 0.8313 0.0000
0.1400 0.4262 0.5000
0.3600 0.9262 0.0000
0.6400 0.0738 0.0000
0.8600 0.5738 0.5000
0.0991 0.6610 0.5000
0.1218 0.1812 0.5000
0.1428 0.8155 0.0000
0.3572 0.3155 0.5000
0.3782 0.6812 0.0000
0.4009 0.1610 0.0000
0.5991 0.8390 0.0000
0.6218 0.3188 0.0000
0.6428 0.6845 0.5000

According to one of the project’s nearest neighbors and most articulate protestors, molecular biologist Courtney Williams, who grew up in the shadow of Indian Point, a natural gas explosion adjacent to Indian Point could result in a Fukushima-like meltdown and require the evacuation of New York City, 35 miles away.
“With (the pipeline) four-hundred-feet from my front door and four-hundred-feet from my kids elementary school, worrying about the worst case scenario is something I do on a routine basis,”
– Courtney Williams

Misplaced materials data.
-- begin --
SbPt3: simulated PXRD pattern (copper Kα), based on the PBE geometry in the Materials Project.
Neutral-atom scattering factors, no anomalous dispersion.

Main lines, by angle (5° ≤ 2θ ≤ 70°):
2θ 36.38, intensity 31
2θ 36.48, intensity 23
2θ 40.95, intensity 100
2θ 52.48, intensity 18
2θ 65.67, intensity 17
2θ 68.57, intensity 22

Structure:
```
data_SbPt3
_space_group_name_H-M_alt 'P 1'
_space_group_IT_number 1
_cell_length_a 5.6874
_cell_length_b 5.6874
_cell_length_c 4.9388
_cell_angle_alpha 90.00
_cell_angle_beta 90.00
_cell_angle_gamma 120.00
loop_
_space_group_symop_operation_xyz
'x,y,z'
loop_
_atom_site_label
_atom_site_fract_x
_atom_site_fract_y
_atom_site_fract_z
Sb1 0.3333 0.6667 0.2500
Sb2 0.6667 0.3333 0.7500
Pt1 0.1653 0.3306 0.7500
Pt2 0.1653 0.8347 0.7500
Pt3 0.3306 0.1653 0.2500
Pt4 0.6694 0.8347 0.7500
Pt5 0.8347 0.1653 0.2500
Pt6 0.8347 0.6694 0.2500
```

ScBi: simulated PXRD pattern (copper Kα), based on the PBE geometry in the Materials Project.
Neutral-atom scattering factors, no anomalous dispersion.

Main lines, by angle (5° ≤ 2θ ≤ 70°):
2θ 25.56, intensity 77
2θ 29.59, intensity 100
2θ 42.35, intensity 76
2θ 50.12, intensity 41
2θ 52.51, intensity 27
2θ 69.65, intensity 35

Structure:
```
data_ScBi
_space_group_name_H-M_alt 'P 1'
_space_group_IT_number 1
_cell_length_a 6.0370
_cell_length_b 6.0370
_cell_length_c 6.0370
_cell_angle_alpha 90.00
_cell_angle_beta 90.00
_cell_angle_gamma 90.00
loop_
_space_group_symop_operation_xyz
'x,y,z'
loop_
_atom_site_label
_atom_site_fract_x
_atom_site_fract_y
_atom_site_fract_z
Sc1 0.0000 0.0000 0.0000
Sc2 0.0000 0.5000 0.5000
Sc3 0.5000 0.0000 0.5000
Sc4 0.5000 0.5000 0.0000
Bi1 0.0000 0.0000 0.5000
Bi2 0.0000 0.5000 0.0000
Bi3 0.5000 0.0000 0.0000
Bi4 0.5000 0.5000 0.5000
```

TiVFe: simulated PXRD pattern (copper Kα), based on the PBE geometry in the Materials Project.
Neutral-atom scattering factors, no anomalous dispersion.

Main lines, by angle (5° ≤ 2θ ≤ 70°):
2θ 36.03, intensity 25
2θ 41.42, intensity 42
2θ 43.48, intensity 100
2θ 43.63, intensity 47
2θ 48.03, intensity 14
2θ 48.54, intensity 18

Structure:
```
data_TiVFe
_space_group_name_H-M_alt 'P 1'
_space_group_IT_number 1
_cell_length_a 7.5770
_cell_length_b 4.9886
_cell_length_c 4.9886
_cell_angle_alpha 59.85
_cell_angle_beta 90.00
_cell_angle_gamma 90.00
loop_
_space_group_symop_operation_xyz
'x,y,z'
loop_
_atom_site_label
_atom_site_fract_x
_atom_site_fract_y
_atom_site_fract_z
Ti1 0.0000 0.0000 0.0000
Ti2 0.0000 0.4954 0.9980
Ti3 0.0000 0.9980 0.4954
Ti4 0.5000 0.6693 0.6693
V1 0.2043 0.4916 0.4916
V2 0.3238 0.1697 0.1697
V3 0.6762 0.1697 0.1697
V4 0.7957 0.4916 0.4916
Fe1 0.2550 0.8416 0.8416
Fe2 0.5000 0.1803 0.6702
Fe3 0.5000 0.6702 0.1803
Fe4 0.7450 0.8416 0.8416
```

Nd6Al5Fe9: simulated PXRD pattern (copper Kα), based on the PBE geometry in the Materials Project.
Neutral-atom scattering factors, no anomalous dispersion.

Main lines, by angle (5° ≤ 2θ ≤ 70°):
2θ 26.99, intensity 92
2θ 31.07, intensity 100
-- stop --

We walked with Courtney and her family to the end of their block, turned left and in 200 feet stood at a giant clear-cut scar coursing downhill through the pine forest. Swivel to the right and the pipes cut under 9W and then skirt the nuclear power plant.
“With (the pipeline) four-hundred-feet from my front door and four-hundred-feet from my kids elementary school, worrying about the worst case scenario is something I do on a routine basis,” Williams told a reporter.
The New York Thruway in Ulster County. The Pilgrim Oil Pipelines are intended to be constructed inside the Thruway right of way for 79% of its 170 mile stretch.
Directly across the river, on the west side, a proposed 180-mile-long pipeline to be built from scratch has got locals expressing disbelief and concern. The project is called the Pilgrim Pipeline, named for its parent company, a Connecticut-based start-up known as Pilgrim Pipeline Holdings.
Twin pipelines would slice through the Catskills carrying crude oil originating in the shale fields of North Dakota. The oil would travel south from Albany and then return refined gasoline north from New Jersey refineries.

The pipes would cut across five counties and thirty towns in New Jersey and six counties and twenty five towns. It would cut across major rivers and creeks including the Wallkill, Catskill, Rondout, Esopus and Moodna and more than 232 regulated streams, wetlands, and protected areas. At every mile post a service road would be cut in to the pipelines to provide access; part of the construction’s promise is that none of the traffic necessary to build the project would use the Thruway, thus turning small local roads into busy thoroughfares during construction. The ultimate goal would be to pump nearly 17 million gallons of oil each day between the two states.
Leading the effort to stop the twin pipelines is the Coalition Against Pilgrim Pipeline (CAPP).
Unlike natural gas pipelines, which are regulated by the federal government, new oil pipelines are approved almost exclusively by state governments, even when crossing state lines. Governors Christie and Cuomo have so far been silent on the Pilgrim project.
What amazes me most about the project was that the dozens of communities the pipeline would cut through were informed about it only when workers started knocking on doors in New Paltz and asking residents about land rights and access. What’s truly astonishing is that the pipeline company did not have to first go to the State of New York for it’s opinion on the project; instead it began surreptitiously trying to piece together land and access to private properties it would inevitably have to secure if the project were to go forward.
It’s funny, that’s not how my town zoning laws work here in Ulster County. If I want to build a toolshed near my neighbor’s border, I need to first go to the town’s zoning board for approval. Then, after several months of hearing, maybe I can proceed. In this instance, while the pipeline builders were saying they would build the pipe on the New York State Thruway’s ‘right of way,’ they were not-so-quietly going around and trying to buy access to the other lands they’d need to complete the project.
Turns out they had applied for construction permits in the summer of 2015 from the Thruway Authority, without any public disclosure. No notices, no meetings, no hearings, no debate.
That backdoor attempt of course backfired. It instigated a huge debate over which state agency would oversee the project’s application and construction. Pilgrim requested its overseer to be the Thruway Authority, the same agency that would be receiving “rent” for the land use. Advocates insisted the state’s Department of Environmental Conservation be the chief, judge and jury. Ultimately, it was decided both would share the oversight.
The amount of oil spilled from pipelines is far greater than all other methods of oil transport combined.
Pipeline proponents like to argue that they are “safer” than barges or bomb trains for delivering crude oil. But that’s a false argument. All pipelines leak, all the time, so the mere existence of them creates pollution. In fact the amount of oil spilled from pipelines is far greater than all other methods of oil transport combined. This proposed project would not replace the need for oil to be shipped through the Hudson Valley by barge or train, it would just add yet another risky delivery system to the mix.
Despite fast-spreading local opposition to the Pilgrim project — 30 Hudson Valley towns have already announced their dissent— it still advances on the drawing boards in Connecticut.

Jeremy Cherson, Campaign Advocacy Coordinator for Riverkeeper, is one of the leading opponents. He points out that seven of the nine biggest cities in its path, including Albany and Rensselaer, have passed resolutions opposing the project.
“I have confidence it is not going to happen,” says Cherson emphatically, hopefully not wishful thinking.
Individuals, Municipal Boards and County legislatures should write to the Governor, NYS Thruway Authority and NYS Department of Transportation and urge them to deny Pilgrim the ability to use the Thruway right of way for their pipelines.
Individuals, communities, involved and interested agencies should actively engage in the critical DEC and Thruway Authority’s environmental review of Pilgrim pipelines, which will be the record on which all subsequent permitting decisions must be made, by submitting written and oral comments on the project’s potential impacts of greatest concern to them.
Stand with millions of New Yorkers by speaking out publicly and to President Obama for emergency action to halt construction of the dangerous AIM pipeline now. Demand the Federal Energy Regulatory Commission (FERC) rescind its approval of the AIM pipeline project and stop construction immediately.